## To do
Say how many lines of the calculation results further below hold the word "states", as a bare number.

## File
-- begin --
1.
DFT (PBE) results for a relaxed structure of Pr6Nd2In.

Energy above the most stable polymorph in this dataset in meV per atom: 0
N(E_F) in states/eV/cell: 26.907
Uncorrected energy in eV/f.u.: -41.57
Magnetization in μB per formula unit: 0.00
Volume in Å³/f.u.: 309
Crystal system: tetragonal

Cell lengths 11.0125, 11.0125, 5.0945 Å; angles 90.00, 90.00, 90.00 degrees
With the nearest neighbours (Å) after each atom.
Fractional coordinates of all 18 atoms:
Pr (0.0001, 0.3312, 0.0000)  8 Pr 3.63-3.74, 3 Nd 3.63-3.74, 1 In 3.65
Pr (0.9999, 0.6688, 0.0000)  8 Pr 3.63-3.74, 3 Nd 3.63-3.74, 1 In 3.65
Pr (0.1602, 0.1602, 0.5000)  4 Nd 3.53-3.78, 2 In 3.57, 6 Pr 3.63-3.74
Pr (0.1688, 0.5001, 0.5000)  8 Pr 3.63-3.74, 3 Nd 3.63-3.74, 1 In 3.65
Pr (0.3312, 0.0001, 0.0000)  8 Pr 3.63-3.74, 3 Nd 3.63-3.74, 1 In 3.65
Pr (0.3398, 0.6602, 0.0000)  4 Nd 3.53-3.78, 2 In 3.57, 6 Pr 3.63-3.74
Pr (0.5001, 0.1688, 0.5000)  8 Pr 3.63-3.74, 3 Nd 3.63-3.74, 1 In 3.65
Pr (0.4999, 0.8312, 0.5000)  8 Pr 3.63-3.74, 3 Nd 3.63-3.74, 1 In 3.65
Pr (0.6602, 0.3398, 0.0000)  4 Nd 3.53-3.78, 2 In 3.57, 6 Pr 3.63-3.74
Pr (0.6688, 0.9999, 0.0000)  8 Pr 3.63-3.74, 3 Nd 3.63-3.74, 1 In 3.65
Pr (0.8312, 0.4999, 0.5000)  8 Pr 3.63-3.74, 3 Nd 3.63-3.74, 1 In 3.65
Pr (0.8398, 0.8398, 0.5000)  4 Nd 3.53-3.78, 2 In 3.57, 6 Pr 3.63-3.74
Nd (0.1607, 0.8393, 0.5000)  10 Pr 3.53-3.78, 2 In 3.57
Nd (0.3393, 0.3393, 0.0000)  10 Pr 3.53-3.78, 2 In 3.57
Nd (0.6607, 0.6607, 0.0000)  10 Pr 3.53-3.78, 2 In 3.57
Nd (0.8393, 0.1607, 0.5000)  10 Pr 3.53-3.78, 2 In 3.57
In (0.0000, 0.0000, 0.0000)  8 Pr 3.57-3.65, 4 Nd 3.57
In (0.5000, 0.5000, 0.5000)  8 Pr 3.57-3.65, 4 Nd 3.57

---

2.
DFT (PBE) results for a relaxed structure of Sr2BeRe.

N(E_F) in states/eV/cell: 4.506
Uncorrected energy in eV/f.u.: -17.00
Magnetization in μB per formula unit: 0.79
Volume in Å³/f.u.: 109
Crystal system: orthorhombic

Cell lengths 4.0995, 6.1431, 6.1431 Å; angles 44.63, 90.00, 90.00 degrees
With the nearest neighbours (Å) after each atom.
Fractional coordinates of all 4 atoms:
Sr (0.0000, 0.0000, 0.0000)  2 Be 3.12, 4 Re 3.29
Sr (0.5000, 0.2809, 0.2809)  2 Re 3.14, 4 Be 3.30
Be (0.0000, 0.6819, 0.6819)  2 Re 2.27
Re (0.5000, 0.5965, 0.5965)  2 Be 2.27

---

3.
DFT (PBE) results for a relaxed structure of Ba2PmSi3Au12.

N(E_F) in states/eV/cell: 6.169
Formation energy (no corrections) in kcal/mol of atoms: -4.943
Uncorrected energy in eV/f.u.: -68.05
Magnetization in μB per formula unit: 0.00
Volume in Å³/f.u.: 473
Crystal system: trigonal

Cell lengths 8.6026, 8.6026, 8.6026 Å; angles 62.31, 62.31, 62.31 degrees
With the nearest neighbours (Å) after each atom.
Fractional coordinates of all 18 atoms:
Ba (0.1027, 0.1027, 0.1027)  9 Au 3.32-3.56
Ba (0.8973, 0.8973, 0.8973)  9 Au 3.32-3.56
Pm (0.5000, 0.5000, 0.5000)  6 Au 2.91
Si (0.0000, 0.5000, 0.5000)  6 Au 2.44-2.48
Si (0.5000, 0.0000, 0.5000)  6 Au 2.44-2.48
Si (0.5000, 0.5000, 0.0000)  6 Au 2.44-2.48
Au (0.0972, 0.6307, 0.6307)  1 Si 2.48
Au (0.1846, 0.1846, 0.6295)  2 Si 2.44
Au (0.1846, 0.6295, 0.1846)  2 Si 2.44
Au (0.3693, 0.3693, 0.9028)  1 Si 2.48
Au (0.3693, 0.9028, 0.3693)  1 Si 2.48
Au (0.3705, 0.8154, 0.8154)  2 Si 2.44
Au (0.6295, 0.1846, 0.1846)  2 Si 2.44
Au (0.6307, 0.0972, 0.6307)  1 Si 2.48
Au (0.6307, 0.6307, 0.0972)  1 Si 2.48
Au (0.8154, 0.3705, 0.8154)  2 Si 2.44
Au (0.8154, 0.8154, 0.3705)  2 Si 2.44
Au (0.9028, 0.3693, 0.3693)  1 Si 2.48

---

4.
DFT (PBE) results for a relaxed structure of ScIn2P.

N(E_F) in states/eV/cell: 1.444
Uncorrected energy in eV/f.u.: -18.22
Magnetization in μB per formula unit: 0.00
Volume in Å³/f.u.: 84
Crystal system: tetragonal

Cell lengths 5.4673, 5.4673, 5.4673 Å; angles 133.86, 133.86, 67.30 degrees
With the nearest neighbours (Å) after each atom.
Fractional coordinates of all 4 atoms:
Sc (0.0000, 0.0000, 0.0000)  8 In 3.03-3.13, 4 P 3.13
In (0.2500, 0.7500, 0.5000)  4 P 3.03, 4 In 3.13, 4 Sc 3.13
In (0.5000, 0.5000, 0.0000)  4 Sc 3.03, 4 In 3.13, 4 P 3.13
-- stop --

## Response
4